How to Market a School Holiday Shop Fundraiser On Facebook Successfully

Learn How to Market a School Holiday Shop On Facebook Successfully The Easy Way. So, your school holiday shop fundraiser is finally up and running. So you may be wondering about how to market a school holiday shop on Facebook successfully? Now you are pumped and ready to start connecting with parents on Facebook. You want to spread the news about your school’s holiday shop, don’t you? PTA / PTO leaders want to know How to Market a School Holiday Shop On Facebook Successfully. Before you get started, here are a few recommended tips:

How to market a school holiday shop on Facebook the right way: Don’t ‘Sell’ On Facebook

When parents log onto Facebook, the last thing on their mind is shopping in your store. If you could read the mind of a parent he/she is probably thinking:

“If another person tries to sell me something on Facebook, I’m hiding their post.”

You do not want to be the next in line to get your posts hidden. Otherwise, people will not see your best posts. To avoid this from happening, make sure your posts do not sound salesy. That includes your Facebook ads and promoted posts. Your posts and ads should focus on the ‘benefits’ of shopping in your holiday shop – not the shop itself.

Add Variety to Your Facebook Posts

Every post should not be about your holiday shop. Imagine what it would be like attending dinner with a friend, and all he ever talked about was his products. You ask him would he like to order dessert, it’s ‘on you’, and he says: “I’m full thanks! Did you know that I have over 50 items on sale in my shop? Click here to start shopping now.”

You would probably have second thoughts about inviting him to dinner ever again. In fact, you’ll probably leave the restaurant.

The same thing applies to promoting your shop on Facebook. You should have a variety of posts that offer value. Share parenting tips, parental resources, recipes, your favorite pastime and etc. The posts you share does not always have to be related to kids and parenting.

It helps to post non-related topics. Statistics show that social media pages that offer a mixture of valuable information have a higher reach. People are more likely to share posts that interest them the most.

Use Marketable Buzz Words in Your Facebook Posts & Facebook Ads

The words you use in your marketing posts and Facebook ads should instantly answer the question, “What’s in it for me?” A few buzzwords to use include: kid-friendly, safe shopping environment, parent approved, convenience, and etc.

Give people a good reason why they should support your school holiday shop fundraiser.

Use Facebook Etiquette – Don’t Become Labeled a Spammer

When it comes to social media, parents are not afraid to call people out if they engage in spam. So, if you’re thinking about in boxing people about your school fundraiser or shop, think twice before you do.

It is not only annoying to receive unsolicited messages, it goes against Facebook’s policy. In addition to unsolicited inbox sales messages, never tag people in a post unless you get the recipient’s permission first.

Facebook Group Etiquette

Although it’s okay to promote your marketing offers within a private group, make sure you are offering something of value. Post a variety of helpful tips and information that parents find useful. For example, money-saving tips, healthy kid-friendly recipes, holiday travel tips, and more. Then talk about the benefits of your holiday shop.

Marketing On Your Private Facebook Page Could Get Your Account Banned

You probably have a few parents signed up on your personal page, which is fine. Don’t promote your school holiday shop fundraiser on your facebook personal page. remember, that’s what the business page is used for.

Make sure you have a separate Facebook business page to promote your holiday shop.

It goes against Facebook’s policy to promote products and services on a personal page. You don’t want your page shut down without warning, do you?  Instead, share your fundraiser marketing post directly from your business page onto your personal page.

Take Full Advantage of Facebook Live Streaming

Consider livestreaming on your business page. Facebook allows you to also invite people to listen. So, go ahead and invite parents to listen to your livestream about your fundraiser.

If livestreaming is not your cup of tea, you can also add videos to your page. Videos and livestream posts have the highest engagement.

Take Photos of Your Holiday Shopping Day

Make sure you take high-quality photos and a short video of your holiday shopping day. Don’t forget to share them on your Facebook page. This will capture parents attention and get them excited about your holiday shopping day.

If you plan to take photos of children to post on your page, make sure you also get written permission from their parents.

In this case, it is okay to share photos of your shopping event on your private page. Facebook just doesn’t want users posting promotional posts on personal pages.

(Calculated molecules that have nothing to do with the entry)
┌──
Record 1
Computed, not measured: a molecular structure, C64H124F5MnN4O18, with the ωB97M-V functional and the def2-TZVPD basis.

```
! RIJCOSX wB97M-V def2-TZVPD def2/J DEFGRID3
* xyz 2 7
Mn 0.07 4.17 -0.42
C 1.06 0.81 0.30
O -0.12 0.04 0.59
O 0.68 2.15 0.18
C 2.22 0.48 1.32
F 3.15 1.43 1.58
F 1.59 0.11 2.45
F 2.94 -0.59 0.89
C -1.23 0.06 -0.38
C -2.15 -1.05 0.07
H -2.47 -0.90 1.10
H -3.01 -0.99 -0.60
H -1.72 -2.05 0.03
H -0.95 -0.01 -1.43
H -1.70 1.04 -0.26
H 1.43 0.31 -0.59
C -4.59 -3.18 -5.41
C -3.90 -1.83 -4.97
C -3.18 -2.00 -3.59
C -1.75 -2.68 -3.60
C -0.97 -1.74 -4.52
C -1.45 -1.73 -5.93
N -2.90 -1.31 -5.95
O -3.38 -0.88 -7.18
C -0.57 -0.69 -6.64
C -1.26 -3.08 -6.66
C -5.01 -0.71 -4.70
H -5.35 -3.38 -4.66
H -3.83 -3.95 -5.50
H -5.06 -3.19 -6.39
H -2.99 -1.03 -3.14
H -3.82 -2.62 -2.96
H -1.87 -3.68 -4.02
H -1.31 -2.80 -2.61
H 0.08 -2.04 -4.60
H -0.97 -0.74 -4.10
H -0.91 -0.66 -7.67
H -0.69 0.30 -6.21
H 0.43 -1.11 -6.80
H -0.21 -3.29 -6.80
H -1.74 -3.92 -6.17
H -1.69 -3.08 -7.67
H -5.74 -0.71 -5.51
H -4.63 0.31 -4.69
H -5.58 -0.76 -3.78
H -3.47 0.06 -7.04
C -6.68 2.30 -3.35
C -6.75 2.81 -1.85
C -8.27 3.12 -1.64
C -8.68 3.15 -0.13
C -8.20 1.86 0.55
C -6.64 1.57 0.35
N -6.30 1.66 -1.05
O -4.97 1.37 -1.27
C -5.76 2.51 1.29
C -6.37 0.16 0.79
C -5.94 4.07 -1.78
H -5.71 1.98 -3.73
H -7.06 3.06 -4.04
H -7.25 1.39 -3.51
H -8.60 4.09 -2.01
H -8.89 2.36 -2.13
H -9.76 3.26 -0.07
H -8.26 4.01 0.39
H -8.73 1.00 0.13
H -8.30 1.89 1.64
H -6.21 3.51 1.35
H -5.74 2.15 2.32
H -4.71 2.60 1.02
H -6.96 -0.47 0.13
H -5.32 -0.10 0.72
H -6.76 -0.15 1.75
H -4.89 4.01 -2.07
H -5.78 4.45 -0.77
H -6.43 4.88 -2.33
H -4.48 2.14 -0.98
C 4.38 -3.99 -6.33
C 5.11 -2.74 -5.72
C 4.51 -1.34 -6.24
C 3.23 -0.94 -5.43
C 3.46 -1.05 -3.94
C 3.94 -2.39 -3.43
N 5.16 -2.83 -4.22
O 5.87 -3.86 -3.70
C 4.39 -2.18 -1.98
C 2.70 -3.35 -3.34
C 6.58 -2.72 -6.19
H 4.40 -3.83 -7.41
H 3.32 -4.11 -6.09
H 4.87 -4.92 -6.04
H 5.28 -0.57 -6.29
H 4.13 -1.38 -7.26
H 2.45 -1.62 -5.77
H 2.93 0.04 -5.79
H 2.51 -0.95 -3.43
H 4.10 -0.24 -3.58
H 3.76 -1.43 -1.50
H 4.31 -3.02 -1.29
H 5.40 -1.80 -1.83
H 2.97 -4.35 -3.01
H 2.01 -3.03 -2.56
H 2.11 -3.46 -4.25
H 6.68 -2.43 -7.24
H 7.10 -3.65 -6.01
H 7.22 -2.06 -5.59
H 6.38 -3.44 -3.01
C 3.81 3.99 5.81
C 3.62 2.46 6.09
C 4.53 1.69 5.10
C 6.02 1.91 5.49
C 6.15 1.20 6.85
C 5.31 1.92 7.93
N 3.95 2.03 7.47
O 3.03 2.44 8.46
C 5.35 0.94 9.14
C 5.97 3.17 8.33
C 2.20 1.88 5.71
H 3.70 4.69 6.64
H 2.99 4.32 5.16
H 4.68 4.27 5.22
H 4.30 0.63 5.03
H 4.33 2.03 4.08
H 6.20 2.98 5.58
H 6.68 1.42 4.77
H 7.20 1.16 7.14
H 5.81 0.18 6.66
H 4.61 0.17 8.96
H 6.35 0.52 9.28
H 5.22 1.45 10.10
H 6.99 3.02 8.69
H 6.05 3.86 7.49
H 5.40 3.61 9.15
H 2.28 0.79 5.78
H 1.88 2.17 4.71
H 1.45 2.25 6.41
H 2.77 1.57 8.78
C -4.52 -2.67 3.35
C -5.71 -2.52 4.29
O -6.70 -1.84 4.02
C -5.63 -3.30 5.52
H -4.80 -2.49 2.31
H -4.26 -3.73 3.33
H -3.69 -1.98 3.53
H -6.52 -3.32 6.15
H -4.94 -2.81 6.19
H -5.30 -4.33 5.35
C 5.81 1.05 -0.98
C 6.74 1.75 -2.01
O 6.82 2.96 -2.07
C 7.62 0.78 -2.89
H 4.94 0.57 -1.43
└──
(The calculated molecules stop here)

School Holiday Shop Kick Off:

In conclusion, a successful school holiday shop doesn’t just happen by accident. It requires planning and well executed marketing. So, we hope you found these facebook marketing tips helpful.

_Calculated molecules that have nothing to do with the piece_
(1)
# C19H27BNO4

An isolated ion of composition C19H27BNO4 and charge +1 at a distorted geometry (ωB97M-V with the def2-TZVPD basis set, the Open Molecules 2025 dataset).

```
! wB97M-V def2-TZVPD RIJCOSX def2/J DEFGRID3
* xyz 1 1
H -0.397 4.457 2.969
C 0.335 -1.575 -0.706
C 0.155 -2.254 0.561
H -0.270 -5.615 -3.113
H 2.395 4.436 0.968
H -1.639 -2.156 4.488
H -2.167 -2.483 -2.880
H -0.554 2.679 3.077
C -0.045 3.506 2.564
O 1.680 2.588 0.324
C -0.819 -2.239 2.573
B 0.401 2.218 0.580
H -2.875 -2.126 3.206
H 2.417 -2.234 -1.033
C -0.948 -1.510 -1.468
C -1.198 -2.476 -2.370
H -1.704 2.684 -1.162
H 2.938 -0.007 -2.074
H 0.207 5.495 0.838
C -1.860 -1.788 3.479
H 1.034 3.405 2.702
H -1.686 -4.700 -3.743
O -1.012 -1.992 1.236
H 1.607 -0.542 -3.169
H 2.038 1.190 -3.086
C -0.618 -4.662 -3.526
H -1.877 -0.686 3.538
C 0.295 4.529 0.319
H 1.679 -4.318 -2.285
H 2.178 4.197 -0.789
H 0.929 -3.017 3.652
H -1.603 -0.680 -1.198
H -0.167 4.585 -0.675
C 1.736 4.026 0.197
H 2.132 -2.937 1.229
H 1.746 -0.275 0.313
O 0.013 0.849 0.552
H -0.076 -4.499 -4.464
C 1.381 -2.425 -1.334
C 1.959 0.265 -2.506
C 0.462 -2.716 2.731
N -0.380 3.419 1.109
C -0.305 -3.542 -2.602
C -2.146 2.451 -0.199
H -2.282 2.922 1.861
H -2.843 1.634 -0.064
C 0.986 -3.498 -2.066
C -1.904 3.360 0.927
C 1.099 -2.706 1.468
O 1.007 0.567 -1.473
C 0.844 -0.203 -0.320
H -2.277 4.399 0.844
*
```

Results
M	344.240	g/mol
E	-30486.2455	eV
highest occupied orbital energy	-7.8	eV
max |F|	4.6	eV Å⁻¹
orbital gap	2.609	eV
relative energy (zero: lowest compared OMol25 entry of this formula, charge and spin)	1.406	eV

Partial charges, natural (NBO), in e: H 0.230; C -0.341; C 0.282; H 0.248; H 0.196; H 0.241; H 0.234; H 0.234; C -0.423; O -0.705; C 0.320; B 1.344; H 0.244; H 0.235; C 0.008; C -0.229; H 0.182; H 0.179; H 0.238; C -0.665; H 0.225; H 0.239; O -0.413; H 0.181; H 0.217; C -0.661; H 0.234; C -0.249; H 0.242; H 0.213; H 0.240; H 0.263; H 0.243; C -0.090; H 0.232; H 0.182; O -0.753; H 0.258; C 0.024; C -0.253; C -0.314; N -0.495; C 0.164; C -0.726; H 0.211; H 0.207; C -0.270; C -0.250; C -0.268; O -0.559; C 0.480; H 0.195

=====

(2)
# C19H27Cl2N3STi

C19H27Cl2N3STi as an isolated structure (ωB97M-V with the def2-TZVPD basis set, the Open Molecules 2025 dataset).

```
! wB97M-V def2-TZVPD RIJCOSX def2/J DEFGRID3
* xyz 2 3
C 1.987 0.240 3.029
N 2.102 -0.143 -0.058
N 0.008 -1.309 -2.685
C -2.476 -3.292 -1.047
H 2.536 0.338 0.728
H -4.137 -4.104 -2.138
C -0.143 1.237 3.484
H 3.610 0.706 -1.243
H -0.145 1.834 -3.521
H 2.198 2.548 -0.373
H -5.678 -2.278 -1.469
H -0.945 -1.312 -3.060
C 0.104 -1.174 3.566
C 1.921 2.006 -1.282
C -2.916 -1.204 0.212
H -0.771 2.112 3.608
H -0.323 -2.154 3.736
Cl -0.399 -2.249 0.337
H 1.087 3.503 2.708
C -0.078 1.187 -2.647
H 2.791 0.376 -3.357
C -4.229 -1.263 -0.289
C 0.416 2.046 -1.467
H 2.544 -1.140 -2.565
C 1.439 -1.037 3.170
C -4.654 -2.284 -1.127
H -0.226 2.540 0.382
H 2.558 -1.056 -0.058
C 0.743 -0.041 -3.070
Cl -5.358 -0.039 0.157
C -2.109 -2.247 -0.224
H 2.387 2.558 -2.101

And finally, is your school interested in running an in school holiday gift shop? If so, give us a call at 800.645.6550.  We will answer any questions you might have.


School Holiday Shops

If your PTA is looking for ways to raise money for your school then setting up a school shop may…...

September 16, 2019
Frank C.
School Holiday Shop Flyer Printing